Assignment.
Restate the whole of the calculation results further below unchanged.

Source.
/*
[1]
A plane-wave DFT calculation with PBE-GGA was carried out for a geometry-optimized Li5NCl2 structure.

abc: 9.8594 9.8594 9.8594
angles: 21.36 21.36 21.36
Last column: nearest neighbours and their distance in Å.
Element x y z (fractional)
N 0.0000 0.0000 0.0000  8 Li 1.94-2.12
Cl 0.7818 0.7818 0.7818  6 Li 2.53-2.58
Cl 0.2182 0.2182 0.2182  6 Li 2.53-2.58
Li 0.3255 0.3255 0.3255  3 N 2.12, 3 Li 2.16
Li 0.6745 0.6745 0.6745  3 N 2.12, 3 Li 2.16
Li 0.9330 0.9330 0.9330  1 N 1.94
Li 0.5000 0.5000 0.5000  6 Cl 2.58
Li 0.0670 0.0670 0.0670  1 N 1.94

Symmetry: R-3m
Calculated total energy (eV/cell): -30.4
Crystal system: trigonal
Energy of formation (eV/atom): -1.25

***

[2]
A plane-wave DFT calculation with PBE-GGA was carried out for a geometry-optimized LuScIr2 structure.

abc: 4.6617 4.6617 4.6617
angles: 60.00 60.00 60.00
Last column: nearest neighbours and their distance in Å.
Element x y z (fractional)
Lu 0.2500 0.2500 0.2500  8 Ir 2.85
Ir 0.5000 0.5000 0.5000  4 Lu 2.85, 4 Sc 2.85
Ir 0.0000 0.0000 0.0000  4 Sc 2.85, 4 Lu 2.85
Sc 0.7500 0.7500 0.7500  8 Ir 2.85

Symmetry: Fm-3m
Calculated total energy (eV/cell): -32.5
Crystal system: cubic
Energy of formation (eV/atom): -0.99

***

[3]
A plane-wave DFT calculation with PBE-GGA was carried out for a geometry-optimized SrMn2Ge2 structure.

abc: 4.0818 4.0818 6.4467
angles: 108.46 108.46 90.00
Last column: nearest neighbours and their distance in Å.
Element x y z (fractional)
Sr 0.0000 0.0000 0.0000  8 Ge 3.27, 8 Mn 3.53
Ge 0.6338 0.6338 0.2675  4 Mn 2.44
Ge 0.3662 0.3662 0.7325  4 Mn 2.44
Mn 0.7500 0.2500 0.5000  4 Ge 2.44
Mn 0.2500 0.7500 0.5000  4 Ge 2.44

Symmetry: I4/mmm
Calculated total energy (eV/cell): -30.7
Crystal system: tetragonal
Energy of formation (eV/atom): -0.30

***

[4]
A plane-wave DFT calculation with PBE-GGA was carried out for a geometry-optimized Mg6TiCdO8 structure.

abc: 8.8010 4.3744 4.3744
angles: 90.00 90.00 90.00
Last column: nearest neighbours and their distance in Å.
Element x y z (fractional)
Mg 0.7413 0.0000 0.5000  6 O 2.12-2.28
Mg 0.5000 0.5000 0.5000  6 O 2.04-2.19
Mg 0.5000 0.0000 0.0000  6 O 2.16-2.19
Mg 0.2587 0.5000 0.0000  6 O 2.12-2.28
Mg 0.2587 0.0000 0.5000  6 O 2.12-2.28
Mg 0.7413 0.5000 0.0000  6 O 2.12-2.28
O 0.7320 0.5000 0.5000  5 Mg 2.04-2.19
O 0.5000 0.0000 0.5000  6 Mg 2.12-2.19
O 0.0000 0.5000 0.0000  2 Cd 2.19, 2 Ti 2.19, 2 Mg 2.28
O 0.5000 0.5000 0.0000  6 Mg 2.12-2.19
O 0.2680 0.5000 0.5000  5 Mg 2.04-2.19
O 0.0000 0.0000 0.5000  2 Cd 2.19, 2 Ti 2.19, 2 Mg 2.28
O 0.2543 0.0000 0.0000  5 Mg 2.16-2.19, 1 Ti 2.24
O 0.7457 0.0000 0.0000  5 Mg 2.16-2.19, 1 Ti 2.24
Cd 0.0000 0.5000 0.5000  6 O 2.19-2.36
Ti 0.0000 0.0000 0.0000  6 O 2.19-2.24

Symmetry: P4/mmm
Calculated total energy (eV/cell): -95.2
Crystal system: tetragonal
Energy of formation (eV/atom): -2.67

***

[5]
A plane-wave DFT calculation with PBE-GGA was carried out for a geometry-optimized Cs2AlHgCl6 structure.

abc: 7.5362 7.5362 7.5362
angles: 60.00 60.00 60.00
Last column: nearest neighbours and their distance in Å.
Element x y z (fractional)
Cl 0.2222 0.2222 0.7778  1 Al 2.37
Cl 0.7778 0.2222 0.7778  1 Al 2.37
Cl 0.7778 0.2222 0.2222  1 Al 2.37
Cl 0.2222 0.7778 0.7778  1 Al 2.37
Cl 0.2222 0.7778 0.2222  1 Al 2.37
Cl 0.7778 0.7778 0.2222  1 Al 2.37
Cs 0.2500 0.2500 0.2500  12 Cl 3.78
Cs 0.7500 0.7500 0.7500  12 Cl 3.78
Al 0.0000 0.0000 0.0000  6 Cl 2.37
Hg 0.5000 0.5000 0.5000  6 Cl 2.96

Symmetry: Fm-3m
Calculated total energy (eV/cell): -31.5
Crystal system: cubic
Energy of formation (eV/atom): -1.83

***

[6]
A plane-wave DFT calculation with PBE-GGA was carried out for a geometry-optimized Ba3P4 structure.

abc: 11.8856 9.7264 8.1322
angles: 82.93 54.30 42.77
Last column: nearest neighbours and their distance in Å.
Element x y z (fractional)
P 0.8059 0.5425 0.0005  1 P 2.24
P 0.1744 0.8195 0.6701  2 P 2.24-2.34
P 0.3360 0.6701 0.8195  2 P 2.24-2.34
P 0.6512 0.0005 0.5425  1 P 2.24
P 0.2495 0.5988 0.4441  1 P 2.24
P 0.7075 0.4441 0.5988  1 P 2.24
*/

Outcome.
[1]
A plane-wave DFT calculation with PBE-GGA was carried out for a geometry-optimized Li5NCl2 structure.

abc: 9.8594 9.8594 9.8594
angles: 21.36 21.36 21.36
Last column: nearest neighbours and their distance in Å.
Element x y z (fractional)
N 0.0000 0.0000 0.0000  8 Li 1.94-2.12
Cl 0.7818 0.7818 0.7818  6 Li 2.53-2.58
Cl 0.2182 0.2182 0.2182  6 Li 2.53-2.58
Li 0.3255 0.3255 0.3255  3 N 2.12, 3 Li 2.16
Li 0.6745 0.6745 0.6745  3 N 2.12, 3 Li 2.16
Li 0.9330 0.9330 0.9330  1 N 1.94
Li 0.5000 0.5000 0.5000  6 Cl 2.58
Li 0.0670 0.0670 0.0670  1 N 1.94

Symmetry: R-3m
Calculated total energy (eV/cell): -30.4
Crystal system: trigonal
Energy of formation (eV/atom): -1.25

***

[2]
A plane-wave DFT calculation with PBE-GGA was carried out for a geometry-optimized LuScIr2 structure.

abc: 4.6617 4.6617 4.6617
angles: 60.00 60.00 60.00
Last column: nearest neighbours and their distance in Å.
Element x y z (fractional)
Lu 0.2500 0.2500 0.2500  8 Ir 2.85
Ir 0.5000 0.5000 0.5000  4 Lu 2.85, 4 Sc 2.85
Ir 0.0000 0.0000 0.0000  4 Sc 2.85, 4 Lu 2.85
Sc 0.7500 0.7500 0.7500  8 Ir 2.85

Symmetry: Fm-3m
Calculated total energy (eV/cell): -32.5
Crystal system: cubic
Energy of formation (eV/atom): -0.99

***

[3]
A plane-wave DFT calculation with PBE-GGA was carried out for a geometry-optimized SrMn2Ge2 structure.

abc: 4.0818 4.0818 6.4467
angles: 108.46 108.46 90.00
Last column: nearest neighbours and their distance in Å.
Element x y z (fractional)
Sr 0.0000 0.0000 0.0000  8 Ge 3.27, 8 Mn 3.53
Ge 0.6338 0.6338 0.2675  4 Mn 2.44
Ge 0.3662 0.3662 0.7325  4 Mn 2.44
Mn 0.7500 0.2500 0.5000  4 Ge 2.44
Mn 0.2500 0.7500 0.5000  4 Ge 2.44

Symmetry: I4/mmm
Calculated total energy (eV/cell): -30.7
Crystal system: tetragonal
Energy of formation (eV/atom): -0.30

***

[4]
A plane-wave DFT calculation with PBE-GGA was carried out for a geometry-optimized Mg6TiCdO8 structure.

abc: 8.8010 4.3744 4.3744
angles: 90.00 90.00 90.00
Last column: nearest neighbours and their distance in Å.
Element x y z (fractional)
Mg 0.7413 0.0000 0.5000  6 O 2.12-2.28
Mg 0.5000 0.5000 0.5000  6 O 2.04-2.19
Mg 0.5000 0.0000 0.0000  6 O 2.16-2.19
Mg 0.2587 0.5000 0.0000  6 O 2.12-2.28
Mg 0.2587 0.0000 0.5000  6 O 2.12-2.28
Mg 0.7413 0.5000 0.0000  6 O 2.12-2.28
O 0.7320 0.5000 0.5000  5 Mg 2.04-2.19
O 0.5000 0.0000 0.5000  6 Mg 2.12-2.19
O 0.0000 0.5000 0.0000  2 Cd 2.19, 2 Ti 2.19, 2 Mg 2.28
O 0.5000 0.5000 0.0000  6 Mg 2.12-2.19
O 0.2680 0.5000 0.5000  5 Mg 2.04-2.19
O 0.0000 0.0000 0.5000  2 Cd 2.19, 2 Ti 2.19, 2 Mg 2.28
O 0.2543 0.0000 0.0000  5 Mg 2.16-2.19, 1 Ti 2.24
O 0.7457 0.0000 0.0000  5 Mg 2.16-2.19, 1 Ti 2.24
Cd 0.0000 0.5000 0.5000  6 O 2.19-2.36
Ti 0.0000 0.0000 0.0000  6 O 2.19-2.24

Symmetry: P4/mmm
Calculated total energy (eV/cell): -95.2
Crystal system: tetragonal
Energy of formation (eV/atom): -2.67

***

[5]
A plane-wave DFT calculation with PBE-GGA was carried out for a geometry-optimized Cs2AlHgCl6 structure.

abc: 7.5362 7.5362 7.5362
angles: 60.00 60.00 60.00
Last column: nearest neighbours and their distance in Å.
Element x y z (fractional)
Cl 0.2222 0.2222 0.7778  1 Al 2.37
Cl 0.7778 0.2222 0.7778  1 Al 2.37
Cl 0.7778 0.2222 0.2222  1 Al 2.37
Cl 0.2222 0.7778 0.7778  1 Al 2.37
Cl 0.2222 0.7778 0.2222  1 Al 2.37
Cl 0.7778 0.7778 0.2222  1 Al 2.37
Cs 0.2500 0.2500 0.2500  12 Cl 3.78
Cs 0.7500 0.7500 0.7500  12 Cl 3.78
Al 0.0000 0.0000 0.0000  6 Cl 2.37
Hg 0.5000 0.5000 0.5000  6 Cl 2.96

Symmetry: Fm-3m
Calculated total energy (eV/cell): -31.5
Crystal system: cubic
Energy of formation (eV/atom): -1.83

***

[6]
A plane-wave DFT calculation with PBE-GGA was carried out for a geometry-optimized Ba3P4 structure.

abc: 11.8856 9.7264 8.1322
angles: 82.93 54.30 42.77
Last column: nearest neighbours and their distance in Å.
Element x y z (fractional)
P 0.8059 0.5425 0.0005  1 P 2.24
P 0.1744 0.8195 0.6701  2 P 2.24-2.34
P 0.3360 0.6701 0.8195  2 P 2.24-2.34
P 0.6512 0.0005 0.5425  1 P 2.24
P 0.2495 0.5988 0.4441  1 P 2.24
P 0.7075 0.4441 0.5988  1 P 2.24